Thank you Germany and the WHO for co-hosting this important event. And a thank you also to the many partner organizations for all their participation and support.
=====
C3H5BiO3 as an isolated structure at a distorted geometry, computed with wB97M-V/def2-TZVPD.

Energy relative to the best compared isomer or geometry (same formula, charge and spin) in kJ/mol: 0.0
Electronic energy in eV: -15153.016
HOMO level in eV: -19.69
Charge: +2
HOMO-LUMO gap in eV: 6.89
M in g mol⁻¹: 298.05

CARTESIAN COORDINATES (ANGSTROEM)
Bi1 0.167 -0.280 2.248
O1 1.228 1.015 0.906
O2 1.884 1.574 -1.179
O3 1.660 -0.569 -0.620
C1 2.204 -0.614 -1.951
C2 2.133 0.849 -2.406
C3 1.412 0.762 -0.279
H1 1.579 -1.277 -2.556
H2 3.075 1.218 -2.824
H3 -0.922 -0.364 0.795
H4 1.291 1.035 -3.082
H5 3.232 -0.987 -1.878

=====

84
Properties=species:S:1:pos:R:3:lowdin_charge:R:1 method="wB97M-V/def2-TZVPD" homo_lumo_gap_ev=6.35 e_tot_ev=-68679.641 spin_multiplicity=1 e_homo_ev=-6.0758 mol_weight_g_mol=700.6 charge=-1 de_lowest_kcal_mol=30.3
N 0.12386 -0.67589 -0.29244 -0.65
O 0.11386 -0.92589 0.94556 -0.10
O -0.97014 -0.72789 -0.88144 -0.07
O 1.09686 -0.34589 -0.85344 0.00
C 2.43986 -3.25089 4.40456 -0.10
C 1.90986 -1.99189 3.65356 0.06
C 0.99186 -0.95889 4.46256 0.09
C 1.01586 -1.10789 6.01856 -0.12
C 1.47886 -2.44289 6.64956 0.08
C 2.27686 -3.46089 5.74956 -0.09
N 0.55886 -0.08989 6.93256 -0.27
O 0.16086 -0.45789 8.12256 0.00
O -0.13014 0.74111 6.25656 0.02
H 3.01286 -4.01989 3.79656 0.11
H 1.94886 -1.87589 2.67456 0.00
H 0.59286 -0.11189 3.95356 0.05
H 1.18486 -2.58189 7.63956 0.05
H 2.73986 -4.32789 6.19556 0.08
C 0.23686 4.42511 2.19256 -0.06
C 0.55086 2.91711 2.36956 -0.03
C 1.46486 2.32811 1.32156 0.01
C 2.11586 3.18511 0.27856 -0.06
C 1.83886 4.67411 0.21256 0.04
C 0.81686 5.25511 1.10956 -0.05
N 2.82886 2.60411 -0.90144 -0.38
O 3.65386 1.71511 -0.71744 0.05
O 2.56786 2.88411 -2.02244 0.08
H -0.53214 4.97511 2.69056 0.06
H -0.09614 2.44811 3.16556 0.09
H 1.74986 1.18011 1.52656 0.14
H 2.17186 5.16811 -0.42844 -0.04
H 0.45886 6.38811 1.08956 0.13
C -0.92814 0.48011 -5.37344 -0.03
C -0.88714 0.55311 -3.81344 0.07
C -0.58414 1.95611 -3.20944 0.08
C -0.38914 3.18611 -4.11944 -0.04
C -0.54914 3.02411 -5.66844 0.01
C -0.73614 1.65411 -6.16644 -0.11
N -0.48514 4.60211 -3.56344 -0.33
O -0.71714 5.52111 -4.46444 -0.02
O -0.59214 4.69511 -2.37444 0.08
H -1.05214 -0.44089 -5.64144 0.01
H -1.13514 -0.25689 -3.16944 0.05
H -0.66514 2.05611 -2.26844 -0.01
H -0.29714 3.79911 -6.33344 0.06
H -0.91914 1.74011 -7.29844 0.11
C -3.44914 2.88411 1.81656 -0.06
C -2.54414 1.73611 1.42856 -0.01
C -2.29014 0.57811 2.32556 0.04
C -3.19514 0.48011 3.52656 -0.08
C -4.13314 1.77411 3.93756 0.10
C -4.23814 2.95711 3.01056 -0.07
N -3.25814 -0.69489 4.33056 -0.26
O -2.23314 -1.47689 4.33656 0.02
O -4.18114 -0.80289 5.33556 -0.04
H -3.65014 3.74311 1.16056 0.09
H -2.04214 1.80411 0.51656 0.06
H -1.67214 -0.30589 2.17756 0.07
H -4.66614 1.81011 4.81256 0.04
H -4.86014 3.72711 3.33156 0.06
C -3.36714 -5.05989 -1.32944 -0.34
O -3.61414 -4.86589 -2.45644 0.04
N -2.15014 -4.56889 -0.78844 -0.21
C -1.78814 -4.94689 0.51756 -0.09
C -1.22714 -3.92189 -1.66944 -0.08
=====
The Global Acton plan for healthy lives and well-being for all, is a great example on how countries and agencies can work together to accelerate the progress on the over 50 health related SDG targets. An important element of the plan is taking stock of where we are. Not surprisingly, some of the biggest gaps between our ambitions and the current status are on the targets that require action across sectors.
Despite great progress, the uncomfortable truth is that far too many die, and especially women and children, every year due to causes that are preventable. Tens of millions of people still lack access basic health services or life-saving medicine. We can do something about this!
Health and investment in health, is a fundamental part of the 2030-agenda. Healthy lives and well-being is a cross-cutting topic for several of the SDGs, and the health of the populations is essential for further development.
In order to make a leap forward and close the gap between our common objectives and current status, we need to acknowledge the intersectionality of all the SDGs. Progress on one goal will create progress on others.
Health is perhaps the clearest example of this. It is critical that we keep investing in access to universal health coverage. Improving both access and quality of health services has a direct impact on poverty reduction, gender inequality, education, and the list goes on.
The links are particularly clear between health and education objectives. Take the example of girls’ education. Educated girls have both fewer and healthier children, and are more likely to send their children to school. In this way, children are in a better position to make a living for themselves and to contribute to the social and economic development in their country. The analysis is really quite simple and clear: Health is fundamental for the development of our societies.
The global action plan addresses these interlinkages in a straight forward manner. But the plan will only be effective if countries take ownership in its implementation. This includes increasing domestic resources to invest in access to health.
ODA remains an important tool. Norway is a consistent partner and committed to maintaining a high level, exceeding the 1% target of GNI allocated to ODA. Our objective is to make ODA catalytic so it can unleash new forms of finance, especially from the private sector.
The Global Financing Facility (GFF) is essential in this regard. The GFF is an innovative financing mechanism supporting country ownership, and aiming to stimulate and attract private and public financial contributions. A recent study showed that USD2.6 billion from the GFF can mobilize between USD50 and USD75 billion from other sources. This, in turn, could help to save 35 million women’s and children’s lives by 2030.
Health is the building block of any well-functioning society. We still have the opportunity to make sure that we reach the goals in the 2030-Agenda. But it will take time and we need to get our act together!
Finally, we are looking forward to the high-level meeting in September on Universal Health Coverage. It will be an important stepping-stone in upscaling political attention, garnering innovative solutions, and for highlighting the significance of investments in universal access to health. I look forward to all countries’ and stakeholders’ active engagement in the negotiations and that we use the occasion to make great strides to achieve our common objectives. We cannot afford to fail.
I look forward to the presentations and debate here today.
Thank you.